It remains to give back only the lines below with the word "PBE" in them.

~~~
(1)
# Pm7YSc3
Theoretical powder diffraction line list, Cu Kα, 1.54184 Å. Input: a structure optimized by DFT (GGA-PBE).
Neutral-atom scattering factors, no anomalous dispersion.

Structural model:
Lattice parameters (Å, degrees): 8.338 8.338 8.338 139.20 99.46 94.52
Fractional coordinates of all 11 atoms:
Pm (0.000, 0.000, 0.000)
Pm (0.102, 0.791, 0.311)
Pm (0.305, 0.500, 0.805)
Pm (0.480, 0.791, 0.689)
Pm (0.520, 0.209, 0.311)
Pm (0.695, 0.500, 0.195)
Pm (0.898, 0.209, 0.689)
Y (0.000, 0.500, 0.500)
Sc (0.289, 0.289, 0.000)
Sc (0.500, 0.000, 0.500)
Sc (0.711, 0.711, 0.000)

Main lines, sorted by position (10 to 90 degrees two-theta):
- 3.425 Å, I 44
- 3.164 Å, I 34
- 2.907 Å, I 73
- 2.829 Å, I 37
- 2.729 Å, I 72
- 2.690 Å, I 100
- 2.216 Å, I 29
- 2.027 Å, I 28

(2)
# HgBi2Pd4Pb
Theoretical powder diffraction line list, Cu Kα, 1.54184 Å. Input: a structure optimized by DFT (GGA-PBE).
Neutral-atom scattering factors, no anomalous dispersion.

Structural model:
Lattice parameters (Å, degrees): 8.052 8.052 8.052 128.86 111.93 89.95
Fractional coordinates of all 16 atoms:
Hg (0.500, 0.000, 0.000)
Hg (0.500, 0.500, 0.500)
Bi (0.000, 0.000, 0.000)
Bi (0.000, 0.000, 0.500)
Bi (0.000, 0.500, 0.000)
Bi (0.500, 0.000, 0.500)
Pd (0.256, 0.249, 0.007)
Pd (0.258, 0.265, 0.507)
Pd (0.258, 0.751, 0.507)
Pd (0.258, 0.751, 0.993)
Pd (0.742, 0.249, 0.007)
Pd (0.742, 0.249, 0.493)
Pd (0.742, 0.735, 0.493)
Pd (0.744, 0.751, 0.993)
Pb (0.000, 0.500, 0.500)
Pb (0.500, 0.500, 0.000)

Main lines, sorted by position (10 to 90 degrees two-theta):
- 3.534 Å, I 17
- 2.848 Å, I 55
- 2.752 Å, I 100
- 2.253 Å, I 29
- 1.979 Å, I 77
- 1.767 Å, I 27
- 1.265 Å, I 18
- 1.241 Å, I 17

(3)
# LiZrSc
Theoretical powder diffraction line list, Cu Kα, 1.54184 Å. Input: a structure optimized by DFT (GGA-PBE).
Neutral-atom scattering factors, no anomalous dispersion.

Structural model:
Lattice parameters (Å, degrees): 6.846 6.846 6.846 152.96 152.96 38.61
Fractional coordinates of all 3 atoms:
Li (0.000, 0.000, 0.000)
Zr (0.332, 0.332, 0.000)
Sc (0.671, 0.671, 0.000)

Main lines, sorted by position (10 to 90 degrees two-theta):
- 6.461 Å, I 76
- 3.107 Å, I 47
- 2.569 Å, I 100
- 2.263 Å, I 34
- 2.136 Å, I 18
- 2.011 Å, I 16
- 1.560 Å, I 20
- 1.358 Å, I 25

(4)
# CsRb2SiAs2
Theoretical powder diffraction line list, Cu Kα, 1.54184 Å. Input: a structure optimized by DFT (GGA-PBE).
Neutral-atom scattering factors, no anomalous dispersion.

Structural model:
Lattice parameters (Å, degrees): 8.010 13.831 5.519 90.00 90.00 90.00
Fractional coordinates of all 12 atoms:
Cs (0.000, 0.000, 0.000)
Cs (0.500, 0.500, 0.500)
Rb (0.016, 0.311, 0.500)
Rb (0.484, 0.811, 0.000)
Rb (0.516, 0.189, 0.000)
Rb (0.984, 0.689, 0.500)
Si (0.000, 0.500, 0.000)
Si (0.500, 0.000, 0.500)
As (0.215, 0.600, 0.000)
As (0.285, 0.100, 0.500)
As (0.715, 0.900, 0.500)
As (0.785, 0.400, 0.000)

Main lines, sorted by position (10 to 90 degrees two-theta):
- 5.235 Å, I 22
- 3.998 Å, I 58
- 3.798 Å, I 100
- 3.156 Å, I 55
- 2.758 Å, I 37
- 2.473 Å, I 32
- 2.271 Å, I 25
- 1.617 Å, I 25


Record 1
This entry pairs a crystal structure of Cs3AgF6 with its calculated powder diffractogram. Radiation: copper Kα. Structure: DFT lattice parameters and positions (PBE).
Lines closer than 0.1° are merged.

Atomic structure:
```
Cs3AgF6
1.0
6.747 0.000 0.000
0.000 6.737 0.000
-6.581 0.000 9.443
Cs Ag F
6 2 12
direct
0.000 0.000 0.000
0.000 0.500 0.500
0.259 0.034 0.752
0.259 0.466 0.252
0.741 0.534 0.748
0.741 0.966 0.248
0.500 0.000 0.500
0.500 0.500 0.000
0.212 0.020 0.287
0.212 0.480 0.787
0.289 0.685 0.037
0.289 0.815 0.537
0.365 0.245 0.046
0.365 0.255 0.546
0.635 0.745 0.454
0.635 0.755 0.954
0.711 0.185 0.463
0.711 0.315 0.963
0.788 0.520 0.213
0.788 0.980 0.713
```

Largest 10 diffraction maxima, by angle, 10 to 90 degrees two-theta:
2θ (°)	Rel. int.
26.42	100
26.74	50
37.74	28
38.12	14
46.42	11
46.67	8
46.88	10
47.02	23
54.37	12
61.85	9

---

Record 2
~~~

This entry pairs a crystal structure of Cs3AgF6 with its calculated powder diffractogram. Radiation: copper Kα. Structure: DFT lattice parameters and positions (PBE).